You'd be 100 pct correct. Plus wealth isnt taxed like income. Those investments are tax free. Cause we all know taxing the billionaires would be "socialism" so ler us all enjoy the 30-38% we pay for them with the full appreciation for those "job creators"

-- begin --
# 1
{
  "formula": "ZnNi2O4",
  "functional": "PBE+U",
  "state": "relaxed",
  "vol_a3_per_cell": 143.29,
  "space_group": "I4_1/amd (141)",
  "energy_ha_per_atom": -0.1753,
  "de_polymorph_mev_per_atom": 1,
  "crystal_system": "tetragonal",
  "cell": [[-1.385, 4.830, -2.638], [4.965, -0.079, 3.353], [5.025, 0.000, -2.638]],
  "species": ["O", "O", "O", "O", "O", "O", "O", "O", "Zn", "Zn", "Ni", "Ni", "Ni", "Ni"],
  "frac_coords": [[0.763, 0.477, 0.761], [0.239, 0.977, 0.237], [0.237, 0.523, 0.239], [0.761, 0.023, 0.763], [0.239, 0.977, 0.786], [0.761, 0.023, 0.214], [0.214, 0.477, 0.761], [0.786, 0.523, 0.239], [0.375, 0.250, 0.375], [0.625, 0.750, 0.625], [0.000, 0.500, 0.500], [0.000, 0.000, 0.000], [0.000, 0.500, 0.000], [0.500, 0.000, 0.000]]
}

# 2
{
  "formula": "Li3Fe8B8O24",
  "functional": "PBE+U",
  "state": "relaxed",
  "vol_a3_per_cell": 484.37,
  "space_group": "P1 (1)",
  "energy_ha_per_atom": -0.2630,
  "de_polymorph_mev_per_atom": 10,
  "crystal_system": "triclinic",
-- stop --

Hmm. Don't get a house. Get an Airstream :)

Right. Plus income can be gone with a lityle pink slip just like that.

I'd have opted to living in a trailer park in Colorado first. Lol

Concern? You substantially overrate your relevance. I am merely pointing out that some of what you have described might be a felony.

Hmm. I hope you mad damned sure none of it can be traced to youm

Not that I see data for. Typical case is woman in her 20s having implants and fillers , even botox. Those temp outalys are around 2k and up . each time. This at a time they SHOULD be investing earlier for growth. Not having an oh s crisis at 45. Note agree nothing wrong with someone having a fscelift at 48 or 56 if she can afford it

What analysis have you done on this? My gurss is none.

3 is both flattering AND healthy looking. I'd avoid too dark or light. A sandy blonde or bronde is perfect for you.

One last thought. I am older now, over 50. So maybe I've had too many years to think and analyze and observe but here goes. When you marry someone who left their spouse for you, you're getting someone who LEAVES their marriage. Maybe they "grew apart" or "wanted different things". Well, still. Vows were made. It has been my observation that the next one doesnt fare any better.

Of course. Interestingly I was dumped for someone older. But dumped is dumped. I have had both money and little money. My opinion is so long as you have health insurance and a roof over your head what most matters is the type of person you are with, their disposition. A kind person with a gentle disposition who is supportive and communicative will make you infinitely happier than a critical , reclusive one with a fortune. Look for that.

I am sorry. And second, your feelings are perfectly normal. It's interesting with the sanctomonious religious folk that want to dictate how we all live, can throw it to the wind in a millesecond when it isn't convenient. My best thoughts: As JFK aptly noted, life is not fair. Know time WILL significantly deaden the hurt. Ignore the folks who say you have to forgive. Don't unless you WANT to. You actually CAN move on without forgiving. Know if justice comes it will more likely be years from now when he gets a chronic medical like memory loss or cancer and she is either stuck spending her prime years taking care of him and the next 20 alone. Or takes his money and divorces him.

For right now you MUST forget everything and get the best divorce attorney you can. A year from now all that will matter is your settlement. Do NOT get caught in emotions. There are no do-overs with settlements.

Next , start spending a little time remembering who you USED to be. I mean who were you at 8-13yrs before distraction of cliques and crushes and the material. Did you love nature and the outdoors? Horses? Canoeing in the mountains? Dancing? Go back to that. Find meetups and people who do these activities. Have no motive but doing what you love. Look for volunteer activities, weekend paid positions. Make new friends that have nothing to do with your ex. This is where you will eventually find your next HAPPY relationship with someone available to you.

My .02. Take or leave of course.

Don't worry. You still get to pay triple or more the tax rate they do.

Love it!!! So true. Quit whining and WORK!!!

I got rich myself first. Money marries money baby.

Education is the reason people are having fewer kids. That has always bern yrue everywhere. Read more and opinion less

They aren't pretty. They emphasize lines and flaws. only can be pulled off on women in their twenties with full lips. AND even then I'm not sure. Lol